infant development

  • 1 - 3 months

[Materials data that have nothing to do with the page]
- - -
Entry 1:
PBE-GGA CsZr3Ni, relaxed; formation enthalpy at 0 K = 3.54 eV/f.u.
1.0
5.1052 0.0000 0.0000
0.0000 5.1052 0.0000
0.0000 0.0000 5.1052
Zr Ni Cs
3 1 1
direct
0.0000 0.5000 0.0000 Zr
0.0000 0.0000 0.5000 Zr
0.5000 0.0000 0.0000 Zr
0.0000 0.0000 0.0000 Ni
0.5000 0.5000 0.5000 Cs

---

Entry 2:
PBE-GGA CsZrNi2, relaxed; energy above the lowest structure with this stoichiometry = 0.0 meV per atom; formation enthalpy at 0 K = 3.35 eV/f.u.
1.0
-1.4730 4.7007 -5.6724
4.5341 -3.9808 -4.4763
-1.3818 -1.7973 -6.1058
Ni Cs Zr
4 2 2
direct
0.3750 0.4471 0.7500 Ni
0.1971 0.6250 0.2500 Ni
0.5529 0.1250 0.2500 Ni
0.8750 0.8029 0.7500 Ni
0.0000 0.0000 0.0000 Cs
0.7500 0.2500 0.5000 Cs
0.5000 0.5000 0.0000 Zr
0.2500 0.7500 0.5000 Zr

---

Entry 3:
PBE-GGA CsNp4, relaxed; formation enthalpy at 0 K = 11.68 eV/f.u.
1.0
-1.0308 5.4512 0.7154
-3.4398 -1.2073 4.2426
4.2889 0.3419 3.5747
Cs Np
1 4
direct
0.5000 0.5000 0.5000 Cs
0.0000 0.5000 0.5000 Np
0.0000 0.0000 0.0000 Np
0.5000 0.5000 0.0000 Np
0.5000 0.0000 0.5000 Np

---

Entry 4:
PBE-GGA CsNp2O7, relaxed; ΔE_f (raw) = -2.55 eV per atom
1.0
4.1954 0.0000 0.0000
0.0000 6.1217 -3.4315
0.0000 -1.3244 8.4644
Np O Cs
2 7 1
direct
0.5000 0.3050 0.6115 Np
0.5000 0.6950 0.3885 Np
0.5000 0.9987 0.3483 O
0.0000 0.6924 0.3885 O
0.5000 0.5896 0.8675 O
0.5000 0.5000 0.5000 O
0.0000 0.3076 0.6115 O
0.5000 0.0013 0.6517 O
0.5000 0.4104 0.1325 O
0.0000 0.0000 0.0000 Cs

---

no.,calculated total energy (eV/atom)
1,-5.747
2,-4.403
3,-8.187
4,-8.695
- - -

    1 - 3 months
    Moves reflexively. -Physical: physical body changes in a growing individual.
    Shows some interest in sounds, but most vocalizing is still crying. -Cognitive: Growth in the mental processes used to gain knowledge.
    Whimpers when hungry, chortles when content. -Emotional;
    Infant: Term used to refer to a child from birth through the first year of life.
  • 4 months

    4 months
    Swipes at objects, gradually improving aim. -Physical: physical body changes in a growing individual
    Explores toys by grasping, sucking, shaking, and banging. -Cognitive: Growth in the mental processe used to gain knowledge.
    Responds to continued warmth and affection. -Social: Growth in the two related areas of social and emotional skills.
    Becomes unresponsive if left alone most of waking hours. - Emotional
  • 5 - 6 months

    5 - 6 months
    Grabs objects with either hand. -Physical: body changes in one individual
    Smiles at self in mirror. -Cognitive; Used to gain Knowledge.
    May begin to show fearful behavior as separateness is felt. -Emotional
    May be able to play the peek-a-boo game. Social; Growth in the two related areas.
    Sits in a tripod position using arms for support. -Physical
    Grabs at any and all objects in reach. -Cognitive
    Enjoys playing with children. -Social
    Likes attention and may cry to get it. - Emotional
  • 7 - 8 months

    7 - 8 months
    Likes to bounce when in standing position. -Physical 7
    Thoroughly enjoys company of siblings. Social 7
    Crawls. -Physical 8
    May anticipate being left and become disturbed. Emotional 8
    Physical: body changes in a growing individual
    Social: Growth in the two related areas of social and emotional skills.
  • 9 months

    9 months
    Uses index finger to point, lead, and poke. -Physical
    Responds appropriately to a few specific words. -Cognitive
    May show a fear of new sounds. -Emotional
    Performs for others, repeats act if applauded. -Social

    Physical: body changes in a growing individual
    Social: Growth in the two related areas of social and emotional
    Cognitive;Used to gain knowledge
  • 10 months

    10 months
    Likes to walk holding caregiver's hands. -Physical: body changes in a growing individual
    Speaks first recognizable word. -Cognitive; Used to gain knowledge
    Enjoys music and may mimic movements others make to music. -Social
    Fears strange places. -Emotional
  • 11 months

=====
Entry 1:
This record from the Alexandria database describes Li3Ni3Sn2 after structural relaxation. The functional is GGA-PBE.

Unit cell a=4.2965 b=4.2965 c=7.4526 alpha=73.25 beta=73.25 gamma=60.00
Closest atoms and distances in Å follow each position.
Fractional positions:
1 Ni 0.3756 0.3756 0.8731  4 Sn 2.57-2.62, 4 Li 2.63-2.65
2 Ni 0.8740 0.8740 0.3780  4 Li 2.60-2.64, 4 Sn 2.64-2.71
3 Ni 0.1261 0.1261 0.6216  4 Li 2.61-2.63, 4 Sn 2.61
4 Li 0.7509 0.7509 0.7473  7 Ni 2.60-2.63, 1 Li 2.68
5 Li 0.2497 0.2497 0.2508  5 Ni 2.61-2.65, 3 Li 2.63
6 Li 0.6239 0.6239 0.1283  4 Li 2.63-2.68, 4 Sn 2.66-2.67
7 Sn 0.4973 0.4973 0.5080  7 Ni 2.57-2.64, 1 Li 2.67
8 Sn 0.0024 0.0024 0.9929  5 Ni 2.61-2.71, 3 Li 2.66

Properties
- M_tot: 0.00 μB/cell
- D(E_F): 3.8 states/eV/cell
- Formation enthalpy at 0 K: -0.31 eV per atom

Entry 2:
This record from the Alexandria database describes Li2NiSn8 after structural relaxation. The functional is GGA-PBE.

Unit cell a=4.2893 b=6.2149 c=10.7256 alpha=107.74 beta=101.53 gamma=90.00
Closest atoms and distances in Å follow each position.
Fractional positions:
1 Sn 0.3951 0.5938 0.7903  1 Ni 2.79, 1 Sn 3.09
2 Sn 0.0145 0.7581 0.0290  2 Ni 2.69
3 Sn 0.3747 0.0656 0.7493  1 Ni 2.79, 2 Li 2.99, 3 Sn 3.09-3.10
4 Sn 0.6253 0.9344 0.2507  1 Ni 2.79, 2 Li 2.99, 3 Sn 3.09-3.10
5 Sn 0.2070 0.3243 0.4140  4 Li 3.06-3.15, 6 Sn 3.19-3.29
6 Sn 0.7930 0.6757 0.5860  4 Li 3.06-3.15, 6 Sn 3.19-3.29
7 Sn 0.9855 0.2419 0.9710  2 Ni 2.69
8 Sn 0.6049 0.4062 0.2097  1 Ni 2.79, 1 Sn 3.09
9 Li 0.2081 0.8179 0.4162  6 Sn 2.99-3.15, 2 Li 3.22
10 Li 0.7919 0.1821 0.5838  6 Sn 2.99-3.15, 2 Li 3.22
11 Ni 0.5000 0.0000 0.0000  8 Sn 2.69-2.79

Properties
- M_tot: 0.00 μB/cell
- D(E_F): 4.9 states/eV/cell
- Formation enthalpy at 0 K: -0.12 eV per atom

Entry 3:
This record from the Alexandria database describes LiNiSn5 after structural relaxation. The functional is GGA-PBE.

Unit cell a=6.4272 b=6.4272 c=10.1369 alpha=69.95 beta=69.95 gamma=60.35
Closest atoms and distances in Å follow each position.
Fractional positions:
1 Sn 0.3514 0.1272 0.3775  1 Ni 2.55
2 Sn 0.7713 0.4859 0.4471  1 Ni 2.66, 1 Li 2.83
3 Sn 0.0890 0.9110 0.7500  2 Ni 2.60
4 Sn 0.1272 0.3514 0.8775  1 Ni 2.55
5 Sn 0.4859 0.7713 0.9471  1 Ni 2.66, 1 Li 2.83
6 Sn 0.8728 0.6486 0.1225  1 Ni 2.55
7 Sn 0.6486 0.8728 0.6225  1 Ni 2.55
8 Sn 0.5141 0.2287 0.0529  1 Ni 2.66, 1 Li 2.83
9 Sn 0.2287 0.5141 0.5529  1 Ni 2.66, 1 Li 2.83
10 Sn 0.9110 0.0890 0.2500  2 Ni 2.60
11 Ni 0.0000 0.0000 0.5000  6 Sn 2.55-2.66
12 Ni 0.0000 0.0000 0.0000  6 Sn 2.55-2.66
13 Li 0.3738 0.6262 0.2500  5 Sn 2.83-3.08
14 Li 0.6262 0.3738 0.7500  5 Sn 2.83-3.08

Properties
- M_tot: 0.00 μB/cell
- D(E_F): 5.8 states/eV/cell
- Formation enthalpy at 0 K: -0.07 eV per atom

Entry 4:
This record from the Alexandria database describes LiNiSn3 after structural relaxation. The functional is GGA-PBE.

Unit cell a=5.0236 b=5.0236 c=5.0236 alpha=90.00 beta=90.00 gamma=90.00
=====

    11 months
    Takes off shoes and socks. -Physical: body changes in one growing individual
    Likes to look at pictures in a book. -Cognitive:Used to gain knowledge
    May not always want to be cooperative. -Emotional
    Tests caregivers to determine limits. - Social
  • 12 months

    12 months
    Climbs up and down stairs. -Physical: body changes in one growing individual
    Waves good-bye. -Cognitive:Used to gain knowledge
    May have tantrums. -Emotional
    Likes to practice communication with adults. -Social